Could you start at the top of the calculation results underneath and quote each line, ending with the one that has "Pb6 0.903"?

____________
(1)
Entry from the Alexandria database: a PBEsol-optimized structure of Mn3AlCu (meta-GGA SCAN).

Space-group type: Pm-3m
Fermi-level density of states: 0.762 states/eV per atom
Calculated formation energy: 912 meV/atom

Cell lengths 4.395, 4.395, 4.395 Å; angles 90.00, 90.00, 90.00 degrees
Atoms (fractional coordinates):
Mn1 0.000 0.000 0.500
Mn2 0.000 0.500 0.000
Mn3 0.500 0.000 0.000
Al1 0.000 0.000 0.000
Cu1 0.500 0.500 0.500



(2)
Entry from the Alexandria database: a PBEsol-optimized structure of ZnHgBr2 (meta-GGA SCAN).

Space-group type: R-3m
Fermi-level density of states: 0.000 states/eV per atom
ΔE_f (raw): -635.7 meV per atom

Cell lengths 9.512, 9.512, 9.512 Å; angles 22.23, 22.23, 22.23 degrees
Atoms (fractional coordinates):
Zn1 0.000 0.000 0.000
Hg1 0.500 0.500 0.500
Br1 0.280 0.280 0.280
Br2 0.720 0.720 0.720



(3)
Entry from the Alexandria database: a PBEsol-optimized structure of LiSi2Ni (meta-GGA SCAN).

Space-group type: Cm
Fermi-level density of states: 0.337 states/eV per atom
ΔE_f (raw): -93.2 meV per atom

Cell lengths 4.429, 4.429, 4.220 Å; angles 96.53, 96.53, 34.98 degrees
Atoms (fractional coordinates):
Li1 0.000 0.000 0.000
Si1 0.511 0.511 0.515
Si2 0.754 0.754 0.240
Ni1 0.248 0.248 0.739



(4)
Entry from the Alexandria database: a PBEsol-optimized structure of ScNbAs2 (meta-GGA SCAN).

Space-group type: I-42d
Fermi-level density of states: 0.803 states/eV per atom
Calculated formation energy: -369 meV/atom

Cell lengths 7.164, 7.164, 7.164 Å; angles 131.22, 131.22, 71.46 degrees
Atoms (fractional coordinates):
Sc1 0.000 0.000 0.000
Sc2 0.750 0.250 0.500
Nb1 0.250 0.750 0.500
Nb2 0.500 0.500 0.000
As1 0.142 0.625 0.017
As2 0.375 0.392 0.517
As3 0.608 0.125 0.983
As4 0.875 0.858 0.483



(5)
Entry from the Alexandria database: a PBEsol-optimized structure of HfTiRe2 (meta-GGA SCAN).

Space-group type: Fm-3m
Fermi-level density of states: 0.645 states/eV per atom
Calculated formation energy: -452 meV/atom

Cell lengths 4.468, 4.468, 4.468 Å; angles 60.00, 60.00, 60.00 degrees
Atoms (fractional coordinates):
Hf1 0.000 0.000 0.000
Ti1 0.500 0.500 0.500
Re1 0.250 0.250 0.250
Re2 0.750 0.750 0.750



(6)
Entry from the Alexandria database: a PBEsol-optimized structure of CrTe3 (meta-GGA SCAN).

Space-group type: Immm
Fermi-level density of states: 0.350 states/eV per atom
ΔE_f (raw): -78.2 meV per atom

Cell lengths 6.613, 6.613, 6.613 Å; angles 147.11, 137.16, 55.04 degrees
Atoms (fractional coordinates):
Cr1 0.000 0.000 0.000
Te1 0.168 0.668 0.500
Te2 0.500 0.500 0.000
Te3 0.832 0.332 0.500



(7)
Entry from the Alexandria database: a PBEsol-optimized structure of LiIN2F (meta-GGA SCAN).

Space-group type: P4/mmm
Fermi-level density of states: 0.343 states/eV per atom
ΔE_f (raw): 1340.5 meV per atom

Cell lengths 3.978, 3.978, 7.121 Å; angles 90.00, 90.00, 90.00 degrees
Atoms (fractional coordinates):
Li1 0.000 0.000 0.000
I1 0.500 0.500 0.000
N1 0.000 0.500 0.500
N2 0.500 0.000 0.500
F1 0.500 0.500 0.500



(8)
Entry from the Alexandria database: a PBEsol-optimized structure of ReW (meta-GGA SCAN).

Space-group type: Pmmn
Fermi-level density of states: 0.705 states/eV per atom
Calculated formation energy: 251 meV/atom

Cell lengths 2.754, 3.979, 5.582 Å; angles 90.00, 90.00, 90.00 degrees
Atoms (fractional coordinates):
Re1 0.250 0.250 0.121
Re2 0.750 0.750 0.879
W1 0.250 0.250 0.631
W2 0.750 0.750 0.369



(9)
Entry from the Alexandria database: a PBEsol-optimized structure of Pb3WCl2O5 (meta-GGA SCAN).

Space-group type: Cmcm
Fermi-level density of states: 0.000 states/eV per atom
ΔE_f (raw): -1679.0 meV per atom

Cell lengths 7.067, 7.067, 11.035 Å; angles 90.00, 90.00, 133.29 degrees
Atoms (fractional coordinates):
Pb1 0.097 0.903 0.750
Pb2 0.349 0.651 0.533
Pb3 0.349 0.651 0.967
Pb4 0.651 0.349 0.033
Pb5 0.651 0.349 0.467
Pb6 0.903 0.097 0.250
W1 0.237 0.763 0.250
W2 0.763 0.237 0.750
Cl1 0.000 0.000 0.000
Cl2 0.000 0.000 0.500
Cl3 0.474 0.526 0.250
Cl4 0.526 0.474 0.750
O1 0.038 0.494 0.130
____________

(1)
Entry from the Alexandria database: a PBEsol-optimized structure of Mn3AlCu (meta-GGA SCAN).

Space-group type: Pm-3m
Fermi-level density of states: 0.762 states/eV per atom
Calculated formation energy: 912 meV/atom

Cell lengths 4.395, 4.395, 4.395 Å; angles 90.00, 90.00, 90.00 degrees
Atoms (fractional coordinates):
Mn1 0.000 0.000 0.500
Mn2 0.000 0.500 0.000
Mn3 0.500 0.000 0.000
Al1 0.000 0.000 0.000
Cu1 0.500 0.500 0.500



(2)
Entry from the Alexandria database: a PBEsol-optimized structure of ZnHgBr2 (meta-GGA SCAN).

Space-group type: R-3m
Fermi-level density of states: 0.000 states/eV per atom
ΔE_f (raw): -635.7 meV per atom

Cell lengths 9.512, 9.512, 9.512 Å; angles 22.23, 22.23, 22.23 degrees
Atoms (fractional coordinates):
Zn1 0.000 0.000 0.000
Hg1 0.500 0.500 0.500
Br1 0.280 0.280 0.280
Br2 0.720 0.720 0.720



(3)
Entry from the Alexandria database: a PBEsol-optimized structure of LiSi2Ni (meta-GGA SCAN).

Space-group type: Cm
Fermi-level density of states: 0.337 states/eV per atom
ΔE_f (raw): -93.2 meV per atom

Cell lengths 4.429, 4.429, 4.220 Å; angles 96.53, 96.53, 34.98 degrees
Atoms (fractional coordinates):
Li1 0.000 0.000 0.000
Si1 0.511 0.511 0.515
Si2 0.754 0.754 0.240
Ni1 0.248 0.248 0.739



(4)
Entry from the Alexandria database: a PBEsol-optimized structure of ScNbAs2 (meta-GGA SCAN).

Space-group type: I-42d
Fermi-level density of states: 0.803 states/eV per atom
Calculated formation energy: -369 meV/atom

Cell lengths 7.164, 7.164, 7.164 Å; angles 131.22, 131.22, 71.46 degrees
Atoms (fractional coordinates):
Sc1 0.000 0.000 0.000
Sc2 0.750 0.250 0.500
Nb1 0.250 0.750 0.500
Nb2 0.500 0.500 0.000
As1 0.142 0.625 0.017
As2 0.375 0.392 0.517
As3 0.608 0.125 0.983
As4 0.875 0.858 0.483



(5)
Entry from the Alexandria database: a PBEsol-optimized structure of HfTiRe2 (meta-GGA SCAN).

Space-group type: Fm-3m
Fermi-level density of states: 0.645 states/eV per atom
Calculated formation energy: -452 meV/atom

Cell lengths 4.468, 4.468, 4.468 Å; angles 60.00, 60.00, 60.00 degrees
Atoms (fractional coordinates):
Hf1 0.000 0.000 0.000
Ti1 0.500 0.500 0.500
Re1 0.250 0.250 0.250
Re2 0.750 0.750 0.750



(6)
Entry from the Alexandria database: a PBEsol-optimized structure of CrTe3 (meta-GGA SCAN).

Space-group type: Immm
Fermi-level density of states: 0.350 states/eV per atom
ΔE_f (raw): -78.2 meV per atom

Cell lengths 6.613, 6.613, 6.613 Å; angles 147.11, 137.16, 55.04 degrees
Atoms (fractional coordinates):
Cr1 0.000 0.000 0.000
Te1 0.168 0.668 0.500
Te2 0.500 0.500 0.000
Te3 0.832 0.332 0.500



(7)
Entry from the Alexandria database: a PBEsol-optimized structure of LiIN2F (meta-GGA SCAN).

Space-group type: P4/mmm
Fermi-level density of states: 0.343 states/eV per atom
ΔE_f (raw): 1340.5 meV per atom

Cell lengths 3.978, 3.978, 7.121 Å; angles 90.00, 90.00, 90.00 degrees
Atoms (fractional coordinates):
Li1 0.000 0.000 0.000
I1 0.500 0.500 0.000
N1 0.000 0.500 0.500
N2 0.500 0.000 0.500
F1 0.500 0.500 0.500



(8)
Entry from the Alexandria database: a PBEsol-optimized structure of ReW (meta-GGA SCAN).

Space-group type: Pmmn
Fermi-level density of states: 0.705 states/eV per atom
Calculated formation energy: 251 meV/atom

Cell lengths 2.754, 3.979, 5.582 Å; angles 90.00, 90.00, 90.00 degrees
Atoms (fractional coordinates):
Re1 0.250 0.250 0.121
Re2 0.750 0.750 0.879
W1 0.250 0.250 0.631
W2 0.750 0.750 0.369



(9)
Entry from the Alexandria database: a PBEsol-optimized structure of Pb3WCl2O5 (meta-GGA SCAN).

Space-group type: Cmcm
Fermi-level density of states: 0.000 states/eV per atom
ΔE_f (raw): -1679.0 meV per atom

Cell lengths 7.067, 7.067, 11.035 Å; angles 90.00, 90.00, 133.29 degrees
Atoms (fractional coordinates):
Pb1 0.097 0.903 0.750
Pb2 0.349 0.651 0.533
Pb3 0.349 0.651 0.967
Pb4 0.651 0.349 0.033
Pb5 0.651 0.349 0.467
Pb6 0.903 0.097 0.250